Work order.
Now echo the part of the notes underneath that starts with the line with "-0.474" and stops after the one with "1.382 -0.162".

Contents.
-- begin --
# C40H46IO6PS

A cluster of 6 separate species, C40H46IO6PS in total (wB97M-V/def2-TZVPD, the OMol25 dataset).

Cartesian coordinates (Å):
I 2.114 4.993 1.283
S 0.103 0.339 -0.714
P 3.048 0.599 -4.420
O 3.821 1.989 -4.389
O 1.295 -0.641 -1.049
O 2.234 0.616 -5.802
O -0.010 0.329 0.703
O -1.041 -0.067 -1.481
O 3.948 -0.544 -4.318
C 4.406 -2.749 -9.912
C -3.143 -7.762 0.023
C -4.128 -7.556 0.979
C -3.307 6.250 5.239
C 5.229 -3.854 -7.942
C -0.226 0.396 5.362
C 5.125 -3.781 -9.324
C -3.117 -0.871 1.517
C -3.696 -5.192 0.918
C 0.416 -0.468 4.485
C -1.010 5.652 4.856
C 4.572 3.785 -0.712
C -4.871 -1.194 3.131
C -5.671 -1.762 2.148
C -1.055 6.271 3.614
C 4.610 -2.900 -7.146
C -3.595 -0.750 2.816
C 3.211 1.574 -1.240
C 1.252 -1.733 6.351
C -0.131 0.195 6.731
C -3.916 -1.439 0.536
C -2.436 -6.682 -0.487
C 1.774 0.636 -3.113
C -2.136 5.640 5.668
C 1.100 3.093 1.021
C -4.405 -6.271 1.425
C 1.717 -0.727 -2.425
C -3.353 6.868 3.997
C 3.889 -1.870 -7.734
C -2.227 6.878 3.185
C 0.425 3.102 -0.369
C 0.609 -0.870 7.226
C 0.085 2.992 2.168
C 3.789 -1.794 -9.116
C 0.609 1.941 -1.364
C -2.712 -5.398 -0.039
C 1.951 1.794 -2.108
C -5.192 -1.885 0.851
C 3.933 2.801 -0.938
C 1.155 -1.533 4.981
H -0.648 3.166 -0.190
H 3.230 -0.988 -9.575
H -0.178 6.271 2.981
H 3.407 -1.131 -7.110
H -3.905 -4.190 1.268
H 1.830 -2.563 6.737
H 1.382 1.061 -5.759
H -0.132 2.110 -2.142
H -1.669 -6.843 -1.235
H 2.984 1.027 -0.328
H -6.666 -2.112 2.394
H -2.101 5.155 6.635
H 0.683 3.996 -0.930
H -0.846 3.494 1.922
H 0.341 -0.314 3.415
H 5.155 4.560 -0.285
H 5.794 -4.656 -7.484
H 0.487 3.507 3.037
H -2.264 7.358 2.215
H 1.654 -2.209 4.299
H -2.123 -0.526 1.272
H -2.969 -0.312 3.583
H 2.704 -1.176 -2.404
H 4.690 -2.949 -6.068
H 3.903 0.933 -1.791
H -4.267 7.342 3.663
H -5.174 -6.110 2.170
H 1.061 -1.406 -2.964
H 2.087 2.716 -2.667
H -5.811 -2.336 0.086
H 0.822 0.808 -3.622
H 1.832 2.301 1.117
H -3.537 -1.537 -0.474
H -4.184 6.243 5.873
H -0.801 1.230 4.976
H -4.681 -8.399 1.376
H 0.683 -1.027 8.295
H -0.635 0.867 7.414
H 5.606 -4.527 -9.944
H -5.242 -1.104 4.144
H 3.385 2.697 -4.875
H -0.096 5.177 5.190
H -2.159 -4.554 -0.434
H -0.073 1.963 2.465
H -2.926 -8.764 -0.324
H 4.327 -2.691 -10.990

Output
- energy (eV) = -82735.835
- E_LUMO (eV) = -0.556
- spin multiplicity = 1
- HOMO energy (eV) = -9.06

# C40H46N6PPtS2Sb

A structure of composition C40H46N6PPtS2Sb (wB97M-V/def2-TZVPD, the OMol25 dataset).

Cartesian coordinates (Å):
Pt -1.287 -0.909 -0.403
Sb 1.259 0.035 0.206
S -0.205 -4.716 -3.138
S -2.226 1.374 1.942
P -2.303 -2.375 1.220
N -0.594 -2.662 -1.675
N -2.310 1.050 0.298
N -2.566 -3.421 -2.657
N 0.715 -2.913 -1.590
N -2.826 3.247 -0.344
N -2.053 0.342 -2.316
C 4.621 -2.092 3.174
C 2.527 -2.261 1.981
C 3.608 1.710 -0.821
C -2.926 3.005 2.069
C -3.839 4.764 3.414
C 3.779 -0.213 1.954
C -3.345 1.811 -4.286
C -3.726 5.016 1.029
C 4.579 1.787 -3.006
C -4.071 5.517 2.276
C -1.871 -4.152 1.077
C 0.868 0.804 3.532
C -2.653 1.501 -2.010
C 0.867 2.004 2.638
C -1.249 -3.503 -2.437
C -3.152 3.757 0.919
C -4.120 -2.419 0.972
C -2.576 1.938 -0.607
C 0.820 4.290 1.029
C -2.693 0.628 -4.597
C 2.522 -4.390 -2.376
C 3.507 -2.819 2.796
C 4.752 -0.779 2.761
C 2.682 -0.951 1.543
C 3.509 1.060 -3.496
C 0.896 3.035 0.456
C 0.796 3.276 3.200
C -3.340 2.245 -2.972
C -2.088 -0.082 -3.572
C 2.499 0.615 -2.651
C 0.955 1.895 1.251
C 4.615 2.134 -1.669
C 0.780 4.411 2.408
C 3.417 -3.357 -3.068
C 2.586 0.902 -1.294
C 1.336 -0.137 -3.214
C 1.118 -3.923 -2.270
C 1.339 -3.080 1.594
C -3.263 3.506 3.311
C -2.216 -2.040 3.019
H 1.382 -0.162 -4.299
H -3.049 -4.088 -3.230
H 2.538 -5.322 -2.940
H 3.894 0.816 1.659
H -4.520 -1.407 1.018
H 3.397 -3.841 3.131
H -3.072 -2.665 -2.219
H -2.421 -4.582 0.245
H 0.401 -0.046 3.033
H 2.918 -4.587 -1.376
H 3.077 -3.166 -4.084
H -2.945 3.890 -1.112
H -2.899 -1.228 3.266
H 3.437 -2.424 -2.512
H -4.353 -2.847 -0.002
H 1.352 -4.039 2.107
H -4.587 -3.024 1.747
H -1.596 -1.024 -3.772
H -3.905 5.606 0.142
H -2.515 -2.938 3.560
H 0.336 1.010 4.457
H 1.334 -1.155 -2.830
-- stop --

Reply.
H -3.537 -1.537 -0.474
H -4.184 6.243 5.873
H -0.801 1.230 4.976
H -4.681 -8.399 1.376
H 0.683 -1.027 8.295
H -0.635 0.867 7.414
H 5.606 -4.527 -9.944
H -5.242 -1.104 4.144
H 3.385 2.697 -4.875
H -0.096 5.177 5.190
H -2.159 -4.554 -0.434
H -0.073 1.963 2.465
H -2.926 -8.764 -0.324
H 4.327 -2.691 -10.990

Output
- energy (eV) = -82735.835
- E_LUMO (eV) = -0.556
- spin multiplicity = 1
- HOMO energy (eV) = -9.06

# C40H46N6PPtS2Sb

A structure of composition C40H46N6PPtS2Sb (wB97M-V/def2-TZVPD, the OMol25 dataset).

Cartesian coordinates (Å):
Pt -1.287 -0.909 -0.403
Sb 1.259 0.035 0.206
S -0.205 -4.716 -3.138
S -2.226 1.374 1.942
P -2.303 -2.375 1.220
N -0.594 -2.662 -1.675
N -2.310 1.050 0.298
N -2.566 -3.421 -2.657
N 0.715 -2.913 -1.590
N -2.826 3.247 -0.344
N -2.053 0.342 -2.316
C 4.621 -2.092 3.174
C 2.527 -2.261 1.981
C 3.608 1.710 -0.821
C -2.926 3.005 2.069
C -3.839 4.764 3.414
C 3.779 -0.213 1.954
C -3.345 1.811 -4.286
C -3.726 5.016 1.029
C 4.579 1.787 -3.006
C -4.071 5.517 2.276
C -1.871 -4.152 1.077
C 0.868 0.804 3.532
C -2.653 1.501 -2.010
C 0.867 2.004 2.638
C -1.249 -3.503 -2.437
C -3.152 3.757 0.919
C -4.120 -2.419 0.972
C -2.576 1.938 -0.607
C 0.820 4.290 1.029
C -2.693 0.628 -4.597
C 2.522 -4.390 -2.376
C 3.507 -2.819 2.796
C 4.752 -0.779 2.761
C 2.682 -0.951 1.543
C 3.509 1.060 -3.496
C 0.896 3.035 0.456
C 0.796 3.276 3.200
C -3.340 2.245 -2.972
C -2.088 -0.082 -3.572
C 2.499 0.615 -2.651
C 0.955 1.895 1.251
C 4.615 2.134 -1.669
C 0.780 4.411 2.408
C 3.417 -3.357 -3.068
C 2.586 0.902 -1.294
C 1.336 -0.137 -3.214
C 1.118 -3.923 -2.270
C 1.339 -3.080 1.594
C -3.263 3.506 3.311
C -2.216 -2.040 3.019
H 1.382 -0.162 -4.299